### Assignment
Echo the part of the entries below that starts with the line with "7.87300 4.13500" and stops after the one with "***".
### Listing
<<<
No. 1
Density functional theory data (wB97M-V/def2-TZVPD) for H28O14 as an isolated structure in a non-equilibrium geometry.

Results
M: 252.21 g mol⁻¹
total charge: 0
energy: -1069.8613 a.u.
ΔE to the lowest compared entry with this formula, charge and spin: 213.18 kcal per mole
frontier orbital gap: 9.39 eV
E_HOMO: -0.3545 Eh

Element x y z (Å)
1 O 5.59100 0.31300 1.37400
2 H 5.15900 0.78300 1.95900
3 H 6.40600 0.24600 1.79600
4 O 10.40700 0.22600 0.27800
5 H 10.62600 0.51600 -0.60800
6 H 11.43800 0.20900 0.60500
7 O 8.17300 0.70900 2.90200
8 H 7.43400 0.23300 3.30400
9 H 8.25300 1.59900 3.22200
10 O 7.87300 4.13500 -1.66200
11 H 6.98200 3.51100 -1.45800
12 H 8.21300 4.42700 -0.83500
13 O 10.96700 0.44400 -1.65900
14 H 11.71700 0.68200 -2.08800
15 H 10.40600 0.33000 -2.41800
16 O 9.73000 3.47300 -3.55400
17 H 9.07400 3.06400 -4.01600
18 H 9.25500 3.44900 -2.56200
19 O 11.10700 2.50300 -0.22800
20 H 11.02700 2.15800 -1.32900
21 H 10.54100 3.32000 -0.22600
22 O 6.15000 2.29900 -0.77400
23 H 6.57800 1.74400 0.02500
24 H 5.52500 1.62400 -1.34300
25 O 7.55800 -1.57100 0.69600
26 H 8.13800 -2.33500 0.74800
27 H 8.19800 -0.72700 0.81500
28 O 10.13100 -0.37400 3.59200
29 H 9.44100 -1.10200 3.83200
30 H 9.61700 0.38300 3.42600
31 O 9.80200 4.94200 0.20100
32 H 9.66500 5.10700 1.12600
33 H 10.36900 5.65400 0.03100
34 O 10.35100 4.08100 2.69000
35 H 9.64000 4.15200 3.14600
36 H 10.60800 3.10300 2.65900
37 O 7.08900 4.41100 1.53200
38 H 7.53500 3.67200 1.18500
39 H 6.05900 4.52000 1.80600
40 O 8.61200 2.17200 0.52500
41 H 9.42600 2.23000 -0.07400
42 H 8.90400 1.35700 1.04300

***

No. 2
Density functional theory data (wB97M-V/def2-TZVPD) for C46H66N11O6P as an isolated structure in a non-equilibrium geometry.

Results
M: 900.08 g mol⁻¹
total charge: -2
energy: -3187.1742 a.u.
ΔE to the lowest compared entry with this formula, charge and spin: 0.00 kcal per mole
frontier orbital gap: 7.18 eV
E_HOMO: -0.1174 Eh

Element x y z (Å)
1 C -5.00801 1.17288 3.92442
2 O -5.46570 0.06068 3.17760
3 C -4.95933 -0.12155 1.91420
4 C -3.39011 -0.59794 1.94151
5 N -2.97079 -1.24647 0.76435
6 H -3.05450 -0.94583 -0.15946
7 H -1.81775 -1.03290 0.76936
8 C -3.14376 -2.71615 0.49447
9 C -1.82652 -3.43473 0.03701
10 O -2.14768 -4.73988 -0.16645
11 C -1.22617 -5.42270 -1.01797
12 H -5.28343 2.09062 3.49570
13 H -3.89490 1.18085 4.00370
14 H -5.39846 1.26414 4.98724
15 H -4.98821 0.84640 1.45167
16 H -5.58030 -0.87634 1.44998
17 H -3.10720 -1.14057 2.75367
18 H -2.91726 0.42388 2.05279
19 H -3.94491 -2.56401 -0.30214
20 H -3.37310 -3.18464 1.37383
21 H -0.94048 -3.08307 0.70962
22 H -1.50118 -2.81118 -0.82777
23 H -0.38677 -5.61442 -0.46520
24 H -0.76818 -4.85758 -2.00756
25 H -1.58481 -6.29604 -1.49772
26 P 0.24661 0.03332 -0.00394
27 O 0.22927 1.50286 0.37190
28 O 1.75568 -0.43943 0.10368
29 O -0.38671 -0.15655 -1.28590
30 O -0.62939 -0.70820 0.93730
31 N 0.28820 2.27143 2.87956
32 C 0.75842 3.53940 3.13153
33 C 0.73173 3.62091 4.49615
34 C 0.17005 2.33744 5.08902
35 C -0.05920 1.51695 4.01573
36 H 0.38475 1.75167 1.83803
37 H 1.01922 4.31232 2.20885
38 H 1.08028 4.58850 5.19196
39 H 0.07506 2.00577 6.23802
40 H -0.42727 0.47234 3.93873
41 N 3.35665 0.18549 -1.68412
42 C 4.14275 1.39550 -1.73444
43 C 4.89710 1.41991 -2.74479
44 C 4.55238 0.20166 -3.59169
45 C 3.74468 -0.53351 -2.79337
46 H 2.54894 -0.02209 -0.88638
47 H 4.03884 2.20159 -1.07163
48 H 5.58417 2.23581 -2.86653
49 H 5.03389 -0.09186 -4.46285
50 H 3.06147 -1.49349 -3.04860
51 N 3.74743 0.42992 1.29533
52 C 5.04195 -0.00893 1.05366
53 C 5.89933 0.52994 1.95450
54 C 5.09680 1.46667 2.89498
55 C 3.85024 1.39334 2.36049
56 H 2.75671 -0.14547 0.81563
57 H 5.05535 -0.82129 0.34573
58 H 7.02524 0.44367 2.28204
59 H 5.40362 1.89605 3.86361
60 H 2.87241 1.77151 2.65289
61 N 2.56814 -2.82054 0.21027
62 C 3.80246 -3.16469 -0.31840
63 C 3.92173 -4.49005 -0.17379
64 C 2.60199 -4.88096 0.47933
65 C 1.91809 -3.82121 0.78402
66 H 2.21405 -1.70903 0.30936
67 H 4.38703 -2.45721 -0.97520
>>>
### Worked solution
10 O 7.87300 4.13500 -1.66200
11 H 6.98200 3.51100 -1.45800
12 H 8.21300 4.42700 -0.83500
13 O 10.96700 0.44400 -1.65900
14 H 11.71700 0.68200 -2.08800
15 H 10.40600 0.33000 -2.41800
16 O 9.73000 3.47300 -3.55400
17 H 9.07400 3.06400 -4.01600
18 H 9.25500 3.44900 -2.56200
19 O 11.10700 2.50300 -0.22800
20 H 11.02700 2.15800 -1.32900
21 H 10.54100 3.32000 -0.22600
22 O 6.15000 2.29900 -0.77400
23 H 6.57800 1.74400 0.02500
24 H 5.52500 1.62400 -1.34300
25 O 7.55800 -1.57100 0.69600
26 H 8.13800 -2.33500 0.74800
27 H 8.19800 -0.72700 0.81500
28 O 10.13100 -0.37400 3.59200
29 H 9.44100 -1.10200 3.83200
30 H 9.61700 0.38300 3.42600
31 O 9.80200 4.94200 0.20100
32 H 9.66500 5.10700 1.12600
33 H 10.36900 5.65400 0.03100
34 O 10.35100 4.08100 2.69000
35 H 9.64000 4.15200 3.14600
36 H 10.60800 3.10300 2.65900
37 O 7.08900 4.41100 1.53200
38 H 7.53500 3.67200 1.18500
39 H 6.05900 4.52000 1.80600
40 O 8.61200 2.17200 0.52500
41 H 9.42600 2.23000 -0.07400
42 H 8.90400 1.35700 1.04300

***